Minggu, 26 Januari 2014

Welcome To My Life

When i was suffer, i just remembered what i though at that moment, i said “i believe, i don’t know how, but i will find happines with love again”. After a disaster tragedy for the last 3 years especially when i trapped in a beautiful nightmare, i cannot believe what i got and what’s left for me. I lost my spirit, i lost some great chance, and for sure i miss a big evolution in my life. It’s hurting me actually when i remember that moment, i guess i never sucess again in the future, because i lost every important thing in my life. So far i’m just so bless, after spent one year in loneliness and every single day i try to believe that my dream with her is impossible to realize. It’s seem i want to be a lone wolf, until the day i get married someday. Every night i tried to heal my wound, find a pain killer in the darkness night, but i’m dying inside, i used a fake smile everyday. It’s really hard for me to face the reality and this is it! What’s done it’s done, just leave it and never regret it. Keep moving forward into the next chapter of my life adventure.

........
Starting from a crystal structure in Alexandria, relaxed with GGA-PBE, the powder diffraction line list of Mn2SnPt9 was calculated for a wavelength of 1.5418 Å.
Lines closer than 0.1° are merged.

The 10 most intense peaks (10 to 90 degrees two-theta), sorted by position:
2θ = 22.4°, rel. 9.3
2θ = 31.8°, rel. 8.0
2θ = 39.3°, rel. 100.0
2θ = 45.6°, rel. 48.9
2θ = 51.4°, rel. 4.3
2θ = 56.7°, rel. 3.1
2θ = 66.5°, rel. 31.5
2θ = 80.0°, rel. 25.9
2θ = 80.2°, rel. 11.6
2θ = 84.4°, rel. 11.0

Crystal structure
```
data_Mn2SnPt9
_chemical_formula_sum 'Mn2 Sn1 Pt9'
_cell_length_a 3.9771
_cell_length_b 3.9771
_cell_length_c 11.9092
_cell_angle_alpha 90.00
_cell_angle_beta 90.00
_cell_angle_gamma 90.00
_space_group_name_H-M_alt 'P 1'
_space_group_IT_number 1
loop_
_space_group_symop_operation_xyz
'x,y,z'
loop_
_atom_site_label
_atom_site_fract_x
_atom_site_fract_y
_atom_site_fract_z
Mn1 0.0000 0.0000 0.1620
Mn2 0.0000 0.0000 0.8380
Sn1 0.0000 0.0000 0.5000
Pt1 0.0000 0.5000 0.0000
Pt2 0.0000 0.5000 0.3243
Pt3 0.0000 0.5000 0.6757
Pt4 0.5000 0.0000 0.0000
Pt5 0.5000 0.0000 0.3243
Pt6 0.5000 0.0000 0.6757
Pt7 0.5000 0.5000 0.1629
Pt8 0.5000 0.5000 0.5000
Pt9 0.5000 0.5000 0.8371
```

---

Starting from a crystal structure in Alexandria, relaxed with GGA-PBE, the powder diffraction line list of TaMn3Pt4 was calculated for a wavelength of 1.5418 Å.
Lines closer than 0.1° are merged.

The 10 most intense peaks (10 to 90 degrees two-theta), sorted by position:
2θ = 21.0°, rel. 13.0
2θ = 27.0°, rel. 18.9
2θ = 38.4°, rel. 18.6
2θ = 39.0°, rel. 16.6
2θ = 39.5°, rel. 40.8
2θ = 42.2°, rel. 100.0
2θ = 42.8°, rel. 23.0
2θ = 67.6°, rel. 13.9
2θ = 73.6°, rel. 21.1
2θ = 81.3°, rel. 16.4

Crystal structure
```
data_TaMn3Pt4
_chemical_formula_sum 'Ta2 Mn6 Pt8'
_cell_length_a 9.1191
_cell_length_b 5.6271
_cell_length_c 4.7731
_cell_angle_alpha 90.00
_cell_angle_beta 90.00
_cell_angle_gamma 90.00
_space_group_name_H-M_alt 'P 1'
_space_group_IT_number 1
loop_
_space_group_symop_operation_xyz
'x,y,z'
loop_
_atom_site_label
_atom_site_fract_x
_atom_site_fract_y
_atom_site_fract_z
Ta1 0.0000 0.0000 0.0000
Ta2 0.5000 0.0000 0.0000
Mn1 0.0000 0.5000 0.0000
Mn2 0.2500 0.0000 0.3779
Mn3 0.2500 0.5000 0.3703
Mn4 0.5000 0.5000 0.0000
Mn5 0.7500 0.0000 0.6221
Mn6 0.7500 0.5000 0.6297
Pt1 0.0000 0.2521 0.5000
Pt2 0.0000 0.7479 0.5000
Pt3 0.2500 0.2534 0.8685
Pt4 0.2500 0.7466 0.8685
Pt5 0.5000 0.2521 0.5000
Pt6 0.5000 0.7479 0.5000
Pt7 0.7500 0.2534 0.1315
Pt8 0.7500 0.7466 0.1315
```

---

Starting from a crystal structure in Alexandria, relaxed with GGA-PBE, the powder diffraction line list of TiMnTl2Pt was calculated for a wavelength of 1.5418 Å.
Lines closer than 0.1° are merged.

The 10 most intense peaks (10 to 90 degrees two-theta), sorted by position:
2θ = 17.0°, rel. 31.7
2θ = 17.6°, rel. 100.0
2θ = 24.6°, rel. 31.9
2θ = 30.1°, rel. 47.1
2θ = 34.4°, rel. 81.8
2θ = 35.7°, rel. 36.9
2θ = 38.9°, rel. 58.0
2θ = 49.4°, rel. 29.5
2θ = 50.4°, rel. 55.5
2θ = 62.5°, rel. 29.1
........

I follow my heart, and pretend that i don’t need someone again to re-colour my day with happiness of love. It’s become more easier for me to get a further result. I knew when someone falling in love with me, But i completely don’t care about her feeling. I’m still waiting for the right moment and make a good decision when the days come. It’s like sniper, holding....waiting....and never get bored to find a good time to end all of this sickness moment. I just wanna say it’s really hard, but this is life. Life can be so cruel sometimes, when someone without love try to holding on and be a good survival in this unpredictable life. I cannot sleep well, i can’t get a good health, i really confuse because i take this feeling too hard, and i don’t expect when everything goes wrong because of love. Stuck in reverse and try to get back again into the past moment. I fight my own self, i don’t wanna to be selfish anymore. I don’t believe every girl, when they said “hey rhesa, i like you, and i want you in my life”. I though that’s a bullshit, i don’t trust them obviously. If i never try, i will never know. Someday, unexpected moment happen...

I don’t know how to describe it, but so far i’m really happy having someone again in my life. Yes i know, in the first time i don’t believe her, and i pretend that she don’t like me. I try to analyze her character, her habit and also her life silently. I’m really satisfied when overall she have a good life. I try to give her a chance, but with very very slow progress.  I just wanna see, if she surrender and give up with the progress that i give, i think she just like my outlook and style, not my character. She still holding on and she become my lovely girl now.  I’m very surprised, her ambition make me feel very impressive with this progress. When i gave her a chance to rebuild my life, haha i never knew that she made it now. So far even it’s just one week we’ve been together, but i really believe that she will be my partner in this mysterious life. I do really love her so much even it’s too short for us being together, i don’t know why, i just believe in her to make up my life to be better than before. I’m really proud of her, and especially her ambition when she tried to give me signal that she love me, i just wanna with her every single second. I never bored, because i already learn too much from my mistake in the past, and biggest failure.

From now on, i believe in her and hopefully she’ll be my last one. Because for me being a part of a relationship is like a full time job. We must serious and never play with it. Heart is like a fragile, you must keep it save how hard the situation is, or you will have a serious problem.  Build a commitment, trust each other, stick together when suffer, and everythings gonna be okay at last

Being deeply loved by someone gives you strength, while loving someone deeply gives you courage

1 komentar:

  1. bersyukurlah kak ...
    tuhan masih memberimu kesempatan untuk bisa membuka hatimu.. :)

    sedikit saran :
    di dunia ini hanya ada 1 dri 100 % orang, yang benar" mencintai kita dengan tulus,, tugas kita adalh mencari dan memilih seseorang itu untuk mendapat cinta yk bnar" tulus,,
    dan itu di dapatkn dengan trus mncoba memiliki hati setiap insan itu,, "v bukan berarti hrus playboy yia :) "
    resiko yk harus kita tanggung adalah kehancuran hati yk akn slalu datang,,,
    v itu gkn seberapa dengan hasil yank akan di dapat.a nanti,,
    "bersabar" itu slalu jadi kuncinya....
    itu seuntai kata" dri mia.

    .... v kini lihatlah kakakku ini,, dia sudah bisa membuka hatinya :)
    selamat yia kak denagn datang.a cinta ini, semoga kakak bisa lebih bahagia n nyaman dengan.a sesuai dengan harapan kakak sendiri...

    v tetap yia, sejatinya cinta itu tidak selalu dengan apa yk trus kita harapkn dan pikirkn, karna kita masih punyai takdir sendiri dlm cinta,,
    belum tentu dia yk terbaik dan blum tentu dia yk terakhir . . .

• Between two parts of the article: calculated crystals:
........
# 1
For Mn3AlC, DFT lattice parameters and positions (PBE) gives the computed PXRD pattern in this record (Cu Kα (λ = 1.5418 Å)).
Peak positions follow from Bragg's law for the DFT cell and can differ from measured ones.

Crystal structure
```
Mn3AlC
1.0
3.8066 0.0000 0.0000
0.0000 3.8066 0.0000
0.0000 0.0000 3.8066
Mn Al C
3 1 1
direct
0.0000 0.0000 0.5000
0.0000 0.5000 0.0000
0.5000 0.0000 0.0000
0.5000 0.5000 0.5000
0.0000 0.0000 0.0000
```

Top 8 peaks for 2θ = 10–80°, low angle first:
- 23.37 deg, d 3.807, I = 17.2
- 33.29 deg, d 2.692, I = 2.7
- 41.07 deg, d 2.198, I = 100.0
- 47.79 deg, d 1.903, I = 57.1
- 53.85 deg, d 1.702, I = 5.1
- 59.48 deg, d 1.554, I = 1.0
- 69.89 deg, d 1.346, I = 32.8
- 74.83 deg, d 1.269, I = 1.9

---

# 2
For Al6C3N2, DFT lattice parameters and positions (PBE) gives the computed PXRD pattern in this record (Cu Kα (λ = 1.5418 Å)).
Peak positions follow from Bragg's law for the DFT cell and can differ from measured ones.

Crystal structure
```
Al6C3N2
1.0
4.1648 0.0000 0.0000
0.0000 3.4794 0.0000
-1.8851 0.0000 9.0371
Al C N
6 3 2
direct
0.0000 0.0000 0.0000
0.0901 0.5000 0.3285
0.2048 0.0000 0.6423
0.4403 0.5000 0.8797
0.5563 0.0000 0.2488
0.6856 0.5000 0.5570
0.0331 0.0000 0.2109
0.1896 0.5000 0.5541
0.6312 0.0000 0.8136
0.5933 0.5000 0.3397
0.7557 0.0000 0.6757
```

Top 10 peaks for 2θ = 10–80°, low angle first:
- 27.47 deg, d 3.247, I = 46.1
- 29.66 deg, d 3.012, I = 91.2
- 32.47 deg, d 2.757, I = 96.8
- 36.62 deg, d 2.454, I = 73.3
- 37.02 deg, d 2.428, I = 100.0
- 43.47 deg, d 2.082, I = 76.8
- 48.01 deg, d 1.895, I = 49.0
- 52.61 deg, d 1.740, I = 64.8
- 57.46 deg, d 1.604, I = 43.7
- 67.44 deg, d 1.389, I = 39.2

---

# 3
For AlC3N3, DFT lattice parameters and positions (PBE) gives the computed PXRD pattern in this record (Cu Kα (λ = 1.5418 Å)).
Peak positions follow from Bragg's law for the DFT cell and can differ from measured ones.

Crystal structure
```
AlC3N3
1.0
3.6929 2.1321 3.0184
-3.6929 2.1321 3.0184
0.0000 -4.2642 3.0184
Al C N
1 3 3
direct
0.0000 0.0000 0.0000
0.0027 0.0027 0.3988
0.0027 0.3988 0.0027
0.3988 0.0027 0.0027
0.0028 0.0028 0.6223
0.0028 0.6223 0.0028
0.6223 0.0028 0.0028
```

Top 10 peaks for 2θ = 10–80°, low angle first:
- 16.97 deg, d 5.224, I = 100.0
- 24.09 deg, d 3.694, I = 4.3
- 29.62 deg, d 3.016, I = 8.2
- 34.33 deg, d 2.612, I = 26.1
- 38.53 deg, d 2.336, I = 15.7
- 49.34 deg, d 1.847, I = 8.4
- 52.55 deg, d 1.741, I = 8.7
- 55.63 deg, d 1.652, I = 7.0
- 64.29 deg, d 1.449, I = 8.4
- 77.52 deg, d 1.231, I = 3.2

---

# 4
For Al5C3N, DFT lattice parameters and positions (PBE) gives the computed PXRD pattern in this record (Cu Kα (λ = 1.5418 Å)).
Peak positions follow from Bragg's law for the DFT cell and can differ from measured ones.

Crystal structure
```
Al5C3N
1.0
3.3087 0.0000 0.0000
-1.6544 2.8654 0.0000
0.0000 0.0000 21.8276
Al C N
10 6 2
direct
0.0000 0.0000 0.0000
0.0000 0.0000 0.1885
0.0000 0.0000 0.5000
0.0000 0.0000 0.6885
0.3333 0.6667 0.1033
........

    berharap boleh, v tidak boleh berlebihan,, karna sesuatu yang berlebihan itu tidak baik...

    berdo'a saja untuk terus di berikan yg terbaik,, insyaalloh jika dia yk terbaik, alloh akn memudahkan jalan cintamu kak :)

    sekali lagi selamat yia kak ;)

    *senang.a yia yk bisa memiliki cinta itu*

-- Crystal structures from another source follow --
<<<
Record 1
Sr2Cd5Sn4: computed PXRD pattern (a wavelength of 1.5418 Å), based on a GGA-PBE-relaxed structure.

Main lines, sorted by position (2θ = 5–70°):
2θ (°), d/Å, I (rel.)
16.7, 5.315, 41.7
25.2, 3.538, 41.1
28.6, 3.121, 26.6
31.7, 2.819, 89.3
32.3, 2.773, 50.2
33.9, 2.648, 100.0
37.3, 2.411, 26.5
37.8, 2.382, 36.5
38.3, 2.352, 50.2
38.7, 2.325, 47.3
51.3, 1.782, 27.5
51.6, 1.771, 26.9

```
Sr2Cd5Sn4
1.0
0.000 5.453 9.300
3.221 0.000 9.300
3.221 5.453 0.000
Sr Cd Sn
2 5 4
Direct
0.126 0.126 0.874
0.874 0.874 0.126
0.000 0.000 0.500
0.250 0.250 0.250
0.500 0.500 0.000
0.500 0.500 0.500
0.750 0.750 0.750
0.222 0.504 0.496
0.496 0.778 0.222
0.504 0.222 0.778
0.778 0.496 0.504
```

***

Record 2
Sr4CdSn12: computed PXRD pattern (a wavelength of 1.5418 Å), based on a GGA-PBE-relaxed structure.

Main lines, sorted by position (2θ = 5–70°):
2θ (°), d/Å, I (rel.)
17.7, 5.016, 10.8
28.1, 3.172, 9.4
30.9, 2.896, 100.0
33.4, 2.681, 18.1
35.8, 2.508, 64.9
38.1, 2.365, 14.6
42.3, 2.139, 18.7
51.5, 1.773, 36.6
61.3, 1.512, 28.6
62.8, 1.479, 12.2
64.3, 1.448, 9.7
68.8, 1.365, 13.6

```
Sr4CdSn12
1.0
-5.016 5.016 5.016
5.016 -5.016 5.016
5.016 5.016 -5.016
Sr Cd Sn
4 1 12
Direct
0.000 0.000 0.500
0.000 0.500 0.000
0.500 0.000 0.000
0.500 0.500 0.500
0.000 0.000 0.000
0.000 0.304 0.304
0.000 0.696 0.696
0.250 0.500 0.750
0.250 0.750 0.500
0.304 0.000 0.304
0.304 0.304 0.000
0.500 0.250 0.750
0.500 0.750 0.250
0.696 0.000 0.696
0.696 0.696 0.000
0.750 0.250 0.500
0.750 0.500 0.250
```

***

Record 3
SrTlCdSn: computed PXRD pattern (a wavelength of 1.5418 Å), based on a GGA-PBE-relaxed structure.

Main lines, sorted by position (2θ = 5–70°):
2θ (°), d/Å, I (rel.)
19.7, 4.496, 6.4
22.8, 3.893, 4.8
32.5, 2.753, 100.0
38.3, 2.348, 3.9
40.1, 2.248, 1.5
46.7, 1.947, 18.4
51.1, 1.786, 1.9
52.6, 1.741, 2.0
58.0, 1.590, 38.4
61.9, 1.499, 1.5
68.1, 1.377, 11.9

```
SrTlCdSn
1.0
0.000 3.893 3.893
3.893 0.000 3.893
3.893 3.893 0.000
Sr Tl Cd Sn
1 1 1 1
Direct
0.000 0.000 0.000
0.750 0.750 0.750
0.250 0.250 0.250
0.500 0.500 0.500
```

***

Record 4
Tb3CdSn: computed PXRD pattern (a wavelength of 1.5418 Å), based on a GGA-PBE-relaxed structure.

Main lines, sorted by position (2θ = 5–70°):
2θ (°), d/Å, I (rel.)
16.0, 5.544, 83.6
18.0, 4.935, 55.4
24.1, 3.700, 42.1
30.3, 2.953, 42.4
31.1, 2.874, 70.9
32.0, 2.795, 74.4
32.3, 2.772, 59.3
36.2, 2.484, 100.0
39.9, 2.257, 32.8
44.6, 2.030, 34.0
46.1, 1.968, 43.8
65.4, 1.428, 24.7

```
Tb3CdSn
1.0
5.590 0.000 0.000
0.000 3.351 4.935
0.000 -3.351 4.935
Tb Cd Sn
3 1 1
Direct
0.000 0.000 0.000
0.500 0.435 0.902
0.500 0.902 0.435
0.500 0.924 0.924
0.000 0.623 0.623
```

***

Record 5
TbCd11Sn: computed PXRD pattern (a wavelength of 1.5418 Å), based on a GGA-PBE-relaxed structure.

Main lines, sorted by position (2θ = 5–70°):
2θ (°), d/Å, I (rel.)
27.7, 3.216, 35.1
30.6, 2.919, 42.3
30.7, 2.908, 39.1
33.3, 2.694, 84.5
33.4, 2.683, 69.8
35.7, 2.516, 86.1
35.9, 2.498, 43.3
36.1, 2.488, 37.9
36.7, 2.451, 100.0
38.1, 2.362, 86.5
>>>

